Piercefield Wood View - Lowri Watkins
Piercefield Woods Nature Reserve
Know before you go
When to visit
Opening times
All year roundBest time to visit
Spring for woodland wildflowers, autumn for colours, winter for far-reaching viewsAbout the reserve
Piercefield Woods are a part of the Lower Wye Valley woodlands, one of the largest and most important areas for native woodland that remain in Britain and at 81ha they are also the largest Nature Reserve Gwent Wildlife Trust manages.
The varied geology of the site, with limestone underlying calcareous woodland with ash, Field Maple and rarer shrubs such as Wild Service tree, Wild Privet, Dogwood and a range of whitebeam species – some of which are only found in the lower Wye Valley. This grades into sandstone underlying acidic woodlands with oak, birch and rowan. The steep ravine woodlands contain both small and large leaved lime: beech woods; and also contain a very rare woodland type in the UK, Yew-dominated woods. Some of these Yews measure up to 5.5m in girth, making them approximately 750 years old, although there is great debate over how old our largest Yew trees are!
=====
C14H21Br2N4O8P2Re as an isolated structure in a non-equilibrium geometry. Source: the OMol25 dataset; level of theory: ωB97M-V/def2-TZVPD.

Each line ends with the Mulliken spin population.
Geometry (Å):
Re: 0.833034 -0.206136 -0.197433  0.8280
N: -0.601147 0.186595 -1.761091  0.0007
C: -0.011971 0.666368 -3.031967  -0.0073
C: 1.180579 1.522507 -2.651501  0.0114
N: 2.053536 0.736586 -1.742375  -0.0023
C: 2.966851 -0.193745 -2.464961  -0.0006
C: 2.460062 -1.621626 -2.332255  0.0053
N: 2.107900 -1.764017 -0.911660  -0.0180
H: -1.242238 -0.596112 -1.888176  0.0026
H: -1.178355 0.913525 -1.332273  0.0050
H: -0.741043 1.225456 -3.621668  -0.0007
H: 0.292687 -0.198497 -3.619088  -0.0008
H: 0.873863 2.413479 -2.102291  -0.0036
H: 1.750965 1.848665 -3.523958  0.0044
H: 2.653359 1.404751 -1.239552  0.0065
H: 3.944931 -0.089475 -1.997294  -0.0028
H: 3.046514 0.109094 -3.511480  0.0016
H: 3.220617 -2.346182 -2.636997  -0.0017
H: 1.561612 -1.803243 -2.922659  -0.0009
H: 2.960127 -1.633515 -0.354362  0.0028
H: 1.723142 -2.676704 -0.666834  0.0066
O: 4.090002 0.077318 2.824373  -0.0003
P: 3.214274 0.422199 1.572905  -0.0115
O: 4.003613 0.401907 0.327895  0.0063
O: 1.956776 -0.471100 1.530215  0.0085
O: 2.613599 1.895984 1.898953  0.0034
P: 1.659468 2.665932 0.854598  0.0120
O: 0.925908 3.725169 1.748246  0.0000
O: 2.385424 3.178004 -0.312044  0.0018
O: 0.540195 1.619544 0.501272  0.0210
H: 3.656423 0.136122 3.675770  0.0002
H: 1.320416 4.597620 1.692502  0.0000
C: -2.888999 2.296257 0.058318  -0.0009
C: -3.059374 0.982730 0.760118  0.0035
C: -4.192009 0.739694 1.574104  -0.0036
C: -4.334580 -0.469043 2.184033  0.0039
C: -3.340407 -1.460991 2.010597  -0.0059
C: -3.370996 -2.759217 2.597953  0.0160
Br: -4.822027 -3.270041 3.684658  0.0015
C: -2.358675 -3.656977 2.389048  -0.0088
C: -1.257783 -3.290846 1.585303  0.0178
Br: 0.128706 -4.544553 1.337444  0.0025
C: -1.200955 -2.050943 1.015527  -0.0153
O: -0.110367 -1.708116 0.281667  0.0871
C: -2.246533 -1.117268 1.198729  0.0109
N: -2.124911 0.080393 0.572302  0.0132
H: -3.642552 3.018845 0.365238  0.0001
H: -2.983108 2.160965 -1.021295  0.0004
H: -1.905562 2.710594 0.267213  0.0002
H: -4.934099 1.513023 1.696866  -0.0003
H: -5.193413 -0.681364 2.803765  0.0003
H: -2.383478 -4.639616 2.833602  -0.0002

Cartesian forces (eV/Å) of the 3 atoms listed first:
Re -0.394 0.617 0.181
N -0.152 0.198 -0.127
C -0.036 0.043 0.006

Properties
M (Da): 781.305
Total charge: +1
Kohn-Sham gap (alpha / beta) (eV): 7.19 / 7.46
Calculated total energy (eV): -197996.0063
ΔE to the lowest compared entry with this formula, charge and spin (eV): 0.499
2S+1: 2

~~~~~

Formula: C37H55N11O2SeY
Source: the OMol25 dataset
Level of theory: ωB97M-V with the def2-TZVPD basis set

Properties
Net charge = +3
Energy = -126119.990 eV
Frontier orbital gap = 7.7754 eV
Maximum force = 0.79 eV/A

Each line ends with the Mulliken charge.
Element x y z (Å)
Y (0.260, -0.399, -0.001)  -0.351
C (-4.391, 0.603, 0.342)  -0.328
C (-4.485, 1.060, -0.967)  -0.590
=====
The plethora of tree species isn’t the only thing that testifies to the huge importance and diversity of these woodlands, the plant species list is long and includes Wild Daffodil, Lily of the Valley, Spurge Laurel, Stinking Hellebore and Herb Paris as well as carpets of more common species such as bluebells, wild garlic and Wood Anemone.
Previous planting and landscaping in the 1750s give rise to woodland giants - veteran and ancient trees in large number. Look out for twisted old Horse Chestnuts, beech, limes and oaks as you wander along the Wye Valley walk. These ancient trees are a habitat in their own right and contain many very rare insect species such as Cosnard’s Net Winged Beetle, not currently recorded anywhere else in Wales and a lime bark bast beetle that, again is only recorded in Wales from the Piercefield/Wyndcliff woodlands.
The area is also very important for mammals including many rare bat species including lesser and greater horseshoe and thriving populations of Hazel Dormice and Yellow Necked Mice.
These ancient trees and woodland and the diversity contained within have earned it the highest status of European protection as a Special Area of Conservation (SAC).
The River Wye, mudflats, estuarine habitats and marshy grassland are another important feature of the site containing approx 7.5 ha of grassland with species such as Meadow Rue, Angelica and Water Dropwort. The river and tidal habitats contain species such as Sea Pearlwort, Sea Plantain, Sea Wormwood, Sea Milkwort, Sea Aster and Seaside Centaury. These habitats are a part of the River Wye Special area of conservation (SAC) making Piercefield Woods the only Gwent Wildlife Trust site to contain two of these topmost designations, a truly unique place!
=====
(1)
{"formula": "C11H16Si", "method": "ωB97M-V/def2-TZVPD", "total_energy_ha": -718.03440, "gap_ev": 8.422, "de_lowest_kcal_mol": 134.25, "homo_ev": -8.089, "lumo_energy_ev": 0.33, "fmax_ev_per_a": 4.81, "multiplicity": 1, "species": ["C", "C", "C", "C", "C", "C", "C", "C", "C", "C", "C", "Si", "H", "H", "H", "H", "H", "H", "H", "H", "H", "H", "H", "H", "H", "H", "H", "H"], "xyz": [[-0.045, 2.616, 1.253], [1.037, 3.050, 0.448], [-0.775, 1.399, 1.117], [1.686, 2.129, -0.465], [1.296, 0.836, -0.661], [-0.535, 0.262, 0.504], [2.691, 2.141, -1.528], [2.271, 0.622, -1.827], [0.469, -2.331, 0.539], [-2.205, -1.886, -1.211], [-2.401, -1.906, 1.795], [-1.194, -1.481, 0.349], [-0.635, 3.179, 1.968], [1.469, 4.066, 0.496], [-1.539, 1.195, 1.896], [2.572, 2.795, -2.381], [3.737, 2.174, -1.226], [3.020, -0.170, -1.617], [1.792, 0.667, -2.865], [1.330, -1.584, 0.732], [0.323, -3.175, 1.270], [0.732, -2.925, -0.311], [-2.578, -0.870, -1.586], [-1.549, -2.279, -1.937], [-2.897, -2.720, -1.072], [-3.439, -1.356, 1.624], [-2.684, -2.958, 1.944], [-1.948, -1.488, 2.750]]}



(2)
{"formula": "C11H17BO2", "method": "ωB97M-V/def2-TZVPD", "total_energy_ha": -604.55340, "gap_ev": [4.503, 6.613], "de_lowest_kcal_mol": 0.00, "homo_ev": [-4.314, -8.803], "lumo_energy_ev": [0.19, -2.19], "fmax_ev_per_a": 6.27, "multiplicity": 3, "species": ["B", "C", "C", "C", "C", "C", "C", "C", "C", "C", "C", "C", "O", "O", "H", "H", "H", "H", "H", "H", "H", "H", "H", "H", "H", "H", "H", "H", "H", "H", "H"], "xyz": [[-0.561, 2.299, 0.232], [3.301, -0.722, 0.759], [2.342, -0.162, 1.683], [2.973, -0.809, -0.551], [1.129, 0.280, 1.215], [1.778, -0.193, -1.025], [0.855, 0.342, -0.156], [-2.058, -2.768, 0.159], [-0.908, 1.182, -1.982], [-1.010, -1.744, 0.068], [-1.608, -0.317, 0.197], [-0.504, 0.910, -0.494], [0.550, 3.100, 0.311], [-1.793, 2.751, 0.664], [4.227, -1.308, 1.036], [2.613, -0.245, 2.703], [3.587, -1.403, -1.163], [0.330, 0.507, 1.830], [1.533, -0.224, -2.085], [-2.005, -3.565, -0.690], [-3.125, -2.365, 0.108], [-2.019, -3.254, 1.099], [-1.814, 1.661, -1.869], [-1.083, 0.364, -2.659], [-0.219, 2.035, -2.445], [-0.395, -1.939, -0.752], [-0.283, -1.863, 0.940], [-2.517, -0.139, -0.289], [-1.796, 0.079, 1.252], [0.215, 3.877, 0.748], [-1.735, 3.631, 1.156]]}



(3)
=====
What we do here
Nothing! Not exactly true but the aim at Piercefield is to enable natural woodland processes to develop and continue.
The steep gorge sides and the exposed nature of these lead to large amounts of tree falls which in turn either hit other trees creating fractures and natural pollards or create open glades all of which are ideal for wildlife such as bats to roost and feed. The large amount of veteran and ancient trees also lend themselves to this approach as they are very important habitats for all sorts of wildlife , particularly rare invertebrates so where possible these too will be left unmanaged.
This naturalistic approach to woodland management does require that visitors stick to the Wye Walley walk as other areas have fallen and damaged trees that could pose a danger to visitors if they stray off the paths. Gwent Wildlife Trust lead guided walks into these “out of bounds” areas so keep your eyes on our website for details.
Despite the naturalistic approach Gwent Wildlife Trust will be felling ash along the Wye Valley walk over the next few years due to ash dieback. It is hoped that this will create open glades along the path which will benefit woodland flowers and insects, particularly butterflies as well as make this long distance path safer for visitors.
As if the wildlife value wasn’t of enough importance, the woods also contain 2 iron age hillforts, a medieval farmstead, roman trackways, and numerous viewpoints and features such as the grotto, the alcove and the giant’s cave, which are part of the 18th century picturesque movement. This was a concept which tried to accentuate the natural beauty of a place creating views that would be highly suited to paintings or to inspire poetry or music. These were a part of the tour of the Wye, and the Wye Valley is regarded as being the birthplace of modern tourism for these natural, yet manufactured views and features.
The viewpoints and the hillforts are protected as Scheduled Ancient Monuments (SAM) and the whole woodland and parkland beyond, including these features, are listed as a Grade 1 historic park and garden.

View from the alcove - Piercefield Woods- Lowri Watkins